Wow! Where on earth has the day gone?! Lots to share with you so bear with us…we’re exhausted!
Group 2 bounced in to Low Port just in time for lunch (and a spot of bedmaking)…challenge number 1 conquered…well kind of
Wow! Where on earth has the day gone?! Lots to share with you so bear with us…we’re exhausted!
Group 2 bounced in to Low Port just in time for lunch (and a spot of bedmaking)…challenge number 1 conquered…well kind of
We have had a very busy day! A guest speaker from the SSPCA spoke to us then the author, Regina Nurney read us one of her stories. At the end of the day, we did various activities with the Scripture Union visitors.
We’ve certainly built up an appetite! Final activity for this group is orienteering!
Last activity before lunch and then heading home…what an experience!
As day 2 comes to an end we have 18 happy campers snoring their little heads off cosy in bed.
After an amazing morning of sailing and forest gorge walking (photos shared earlier today) we headed off over the Queensferry Crossing and back again towards Dalmeny Beach.
On the beach we were absolutely delighted to learn from Rona and Dave as they took us on an epic journey around the rock pools! Some children enjoyed investigating sea anemones, others were looking at limpits and barnacles, some were skimming stones and others enjoyed collecting and categorising shells! Every single child was thoroughly engrossed and it was an incredible sight to see!
Back at the centre we caught a glimpse of the Marches before heading off for macaroni cheese and garlic bread followed by rice pudding and peaches.
After our showers we got our dancing shoes on and partied until 9:30pm! We were treated to songs played by DJ Katy and then had some party food and ice poles before happily falling into bed just after 10pm.
It has been an absolute pleasure to have taken the children to Low Port this past few days! I hope they can fill you in on all of the fun they’ve had and I hope they sleep well tomorrow! Miss Walker and I have been so impressed with their polite manners and their resilience as they faced lots of new challenges! I’m ready to take on group 2 with Miss King tomorrow and your cherubs will be back to you around 2:30pm after sailing and orienteering! Look out for a Groupcall.
Mrs Simpson
Wow what a first day!! Group 1 went orienteering around the Peel utilising some super mapping skills whilst group 2 went on an adventure to Beecraigs where they put their waterproofs to excellent use!
After lunch we headed out to roll down every hill we could possibly find beside the palace before walking the 2.5 miles around the loch where Alex and Jake spotted some particularly interesting trees and dens that were itching to be explored and climbed!
Along the way we spotted many swans and ducks and were delighted to come across lots of baby signets and ducklings! We thought that we were going to have to take a couple of geese home with us as they waddled along behind our line!
After our walk we had some time relaxing and unpacking in our rooms. The girls quickly organised their bedding and displayed their things neatly…whilst in the blue corner we were rescuing some of the boys who were trapped inside their duvet covers with puzzled looks on their faces – don’t worry, we sorted it all out in the end
Crystal structures from another source follow:
********
(1)
Simulated X-ray diffraction stick pattern
Compound: Na3BiB2O6
Radiation: λ = 1.5418 Å (Cu Kα)
Structure: a cell relaxed with PBE
Kinematic intensities with the Lorentz-polarization factor, no thermal factor.

Structure:
Lattice parameters (Å, degrees): 9.0100 7.3323 10.8797 90.00 113.49 90.00
Element x y z (fractional)
Na: 0.0913 0.2450 0.4728
Na: 0.0913 0.2550 0.9728
Na: 0.2193 0.5417 0.1789
Na: 0.2193 0.9583 0.6789
Na: 0.3356 0.7054 0.5300
Na: 0.3356 0.7946 0.0300
Na: 0.6644 0.2054 0.9700
Na: 0.6644 0.2946 0.4700
Na: 0.7807 0.0417 0.3211
Na: 0.7807 0.4583 0.8211
Na: 0.9087 0.7450 0.0272
Na: 0.9087 0.7550 0.5272
Bi: 0.3148 0.0290 0.3030
Bi: 0.3148 0.4710 0.8030
Bi: 0.6852 0.5290 0.1970
Bi: 0.6852 0.9710 0.6970
B: 0.0423 0.6679 0.8185
B: 0.0423 0.8321 0.3185
B: 0.4424 0.1954 0.1238
B: 0.4424 0.3046 0.6238
B: 0.5576 0.6954 0.3762
B: 0.5576 0.8046 0.8762
B: 0.9577 0.1679 0.6815
B: 0.9577 0.3321 0.1815
O: 0.1115 0.2328 0.7064
O: 0.1115 0.2672 0.2064
O: 0.1148 0.6929 0.7264
O: 0.1148 0.8071 0.2264
O: 0.1320 0.5714 0.9350
O: 0.1320 0.9286 0.4350
O: 0.3084 0.0791 0.0840
O: 0.3084 0.4209 0.5840
O: 0.4565 0.6992 0.2418
O: 0.4565 0.8008 0.7418
O: 0.4730 0.1898 0.5353
O: 0.4730 0.3102 0.0353
O: 0.5270 0.6898 0.9647
O: 0.5270 0.8102 0.4647
O: 0.5435 0.1992 0.2582
O: 0.5435 0.3008 0.7582
O: 0.6916 0.5791 0.4160
O: 0.6916 0.9209 0.9160
O: 0.8680 0.0714 0.5650
O: 0.8680 0.4286 0.0650
O: 0.8852 0.1929 0.7736
O: 0.8852 0.3071 0.2736
O: 0.8885 0.7328 0.7936
O: 0.8885 0.7672 0.2936

Most intense lines, 5 to 70 degrees two-theta, sorted by position:
| 2θ/deg | d [Å] | intensity |
| --- | --- | --- |
| 16.25 | 5.454 | 100 |
| 17.78 | 4.989 | 29 |
| 20.44 | 4.346 | 50 |
| 29.49 | 3.029 | 31 |
| 32.65 | 2.743 | 26 |
| 32.84 | 2.727 | 26 |

(2)
Simulated X-ray diffraction stick pattern
Compound: Na6Bi2B4PO16
Radiation: λ = 1.5418 Å (Cu Kα)
Structure: a cell relaxed with PBE
Kinematic intensities with the Lorentz-polarization factor, no thermal factor.

Structure:
Lattice parameters (Å, degrees): 10.2530 10.2530 10.2530 60.00 60.00 60.00
Element x y z (fractional)
Na: 0.0782 0.0782 0.6718
Na: 0.0782 0.6718 0.0782
Na: 0.0782 0.6718 0.6718
Na: 0.3282 0.3282 0.9218
Na: 0.3282 0.9218 0.3282
Na: 0.3282 0.9218 0.9218
Na: 0.6718 0.0782 0.0782
Na: 0.6718 0.0782 0.6718
Na: 0.6718 0.6718 0.0782
Na: 0.9218 0.3282 0.3282
Na: 0.9218 0.3282 0.9218
Na: 0.9218 0.9218 0.3282
Bi: 0.0000 0.5000 0.5000
Bi: 0.5000 0.0000 0.5000
Bi: 0.5000 0.5000 0.0000
Bi: 0.5000 0.5000 0.5000
B: 0.2797 0.2797 0.2797
B: 0.2797 0.2797 0.6608
B: 0.2797 0.6608 0.2797
B: 0.3392 0.7203 0.7203
B: 0.6608 0.2797 0.2797
B: 0.7203 0.3392 0.7203
B: 0.7203 0.7203 0.3392
B: 0.7203 0.7203 0.7203
P: 0.1250 0.1250 0.1250
P: 0.8750 0.8750 0.8750
O: 0.0630 0.0630 0.0630
O: 0.0630 0.0630 0.3112
O: 0.0630 0.3112 0.0630
O: 0.1373 0.2922 0.4072
O: 0.1373 0.4072 0.6633
O: 0.1373 0.6633 0.2922
O: 0.2922 0.1373 0.6633
O: 0.2922 0.4072 0.1373
O: 0.2922 0.6633 0.4072
O: 0.3112 0.0630 0.0630
O: 0.3367 0.5928 0.7078
********
Dinner was, in the children’s words, masterchef worthy!! They tucked into homemade vegetable soup and bread then chicken, gravy, chips and sweet corn, Liz and Julie in the kitchen are looking after us just fine!
After dinner Mrs Gingell joined us for fun on the Peel during our downtime and the sun came out again for us! Mrs Gingell then set about helping us with supper and sorted all the toast which we enjoyed alongside hot chocolate and mini malteaser traybakes.
Absolutely no issues with bedtime – after clocking up an average of 20,000 steps (and that was just us adults), the children cuddled down with their books and teddies and we’ve not heard a peep since 10pm! Fabulous!!
Hope you’re enjoying the photos – look out for more tomorrow, night night everyone!
P.S. we noticed that some parents might not be following us on Twitter, would those of you who do, mind directing them to our blog and Twitter for updates (to see clearer images of photos – follow the link back to the safety of our blog). Thanks!